
25 September 2009

Colorado's Property Taxes Are Below Average

While the Census Bureau is not the most accurate source of property tax information, because people often inaccurately report information to it, it has a lot of information on the topic, which the Tax Foundation has collected in a convenient set of documents. The documents also collect interesting information such as the median income of homeowners, something that is higher than the median income of the general population, and median home value data.

(Data records, as found in the file)
-- begin --
Entry 1:
-- stop --

Colorado ranks 30th in dollars of property taxes paid per household, 38th in property taxes on homes as a percentage of home value, and 37th in property taxes on homes as a percentage of income.

These statistics understate the importance of property taxes in the Colorado tax base, however, because Colorado's state constitution mandates that Colorado value homes at a lower share of fair market value than the value it assigns to other property. (Some accuracy is lost in this summary as I am intentionally avoiding using the precise property tax terms under state law in this post.)


  1. Colorado property taxes are 1/4 what they are in the Washington, DC area. The tax rates are half -- about 50 cents (per $100) here, and about $1.00 there. Property values are half here than there. The house I live in here in West Washington Park is equivalent to a house in Cleveland Park, Washington, DC that I could never have afforded.

    These two factors taken together, Colorado property taxes are 1/4 what they are in the Washington, DC area.

    Property taxes are so high there that no one can afford to retire in place. Often, property taxes there are greater than the principal and interest of 30-year-fixed mortgage payments from mortgages made 30 years ago -- even after adjusting for inflation. At that point, there really is no concept of private property.

  2. Property taxes are among the most ancient. They probably go back to the Bronze Age, at least.

    I don't recall any U.S. jurisdictions without them, although I'm sure that could simply be pre-coffee morning fuzz.

    Hence, I doubt your sugestion that there is no concept of private property. There are some key evolutions under way (some in IP, some in the evolving interaction of land use law and traditional property rights), but the concept is alive and well.

Someone pasted quantum chemistry results at this point >
____________
1.
Molecular formula: C5H8O
Method: DFT, ωB97M-V/def2-TZVPD

Its HOMO energy is -9.643 eV. The total energy is -7361.29567 eV. The LUMO energy comes out at 0.038 Ha. The calculation puts the largest force on an atom at 0.0090 Eh/bohr. Its energy above the lowest of the compared OMol25 structures with the same formula, charge and spin is 0.960 eV. For the orbital gap, the calculation gives 10.69 eV. The charge is 0.

Last column: Mulliken charge in e.
Cartesian coordinates (Å):
H  -0.380  -0.363  2.304  0.228
C  1.384  0.105  -1.480  -1.095
H  1.007  1.132  -1.557  0.301
H  -0.428  1.605  0.766  0.270
H  -2.046  1.094  0.087  0.269
H  0.906  -0.466  -2.283  0.348
O  1.807  -0.663  0.754  -0.556
H  -2.001  -0.927  1.666  0.257
C  0.996  -0.429  -0.117  0.516
C  -0.488  -0.511  0.099  -0.057
C  -1.113  0.788  0.550  -0.657
C  -1.073  -0.398  1.469  -0.554
H  -1.037  -1.078  -0.649  0.417
H  2.467  0.112  -1.610  0.313

***

2.
Molecular formula: C2H3N3O
Method: DFT, ωB97M-V/def2-TZVPD

Its HOMO energy is -8.905 eV. The total energy is -8636.33308 eV. The LUMO energy comes out at 0.024 Ha. The calculation puts the largest force on an atom at 0.0088 Eh/bohr. Its energy above the lowest of the compared OMol25 structures with the same formula, charge and spin is 4.161 eV. For the orbital gap, the calculation gives 9.57 eV. The charge is 0.

Last column: Mulliken charge in e.
Cartesian coordinates (Å):
N  0.810  -0.784  0.793  0.159
H  1.638  -1.225  1.163  0.213
N  -0.145  -0.279  1.635  -0.522
C  0.594  -0.439  -0.468  -0.183
N  -0.508  0.297  -0.395  0.218
C  -1.011  0.416  0.896  -0.309
H  -1.578  1.657  -0.887  0.432
H  1.154  -0.748  -1.338  0.404
O  -0.954  1.104  -1.399  -0.413

***

3.
Molecular formula: ClNO7Rb
Method: DFT, ωB97M-V/def2-TZVPD

Its HOMO energy is -4.477 eV. The total energy is -28991.32840 eV. The LUMO energy comes out at 0.050 Ha. The calculation puts the largest force on an atom at 0.1360 Eh/bohr. Its energy above the lowest of the compared OMol25 structures with the same formula, charge and spin is 1.222 eV. For the orbital gap, the calculation gives 5.84 eV. The charge is -1.

Last column: Mulliken charge in e.
Cartesian coordinates (Å):
N  10.462  -6.484  22.507  0.890
O  9.321  -6.384  21.903  -0.619
Rb  12.068  -10.197  22.713  0.954
O  10.397  -9.669  20.324  -0.563
O  10.676  -7.646  23.053  -0.646
O  12.252  -8.131  20.052  -0.554
O  11.194  -5.588  22.654  -0.599
Cl  11.359  -9.133  19.457  1.397
O  12.110  -10.351  19.021  -0.606
O  10.664  -8.305  18.357  -0.655

***

4.
Molecular formula: CHIS2
Method: DFT, ωB97M-V/def2-TZVPD
____________

    Indeed, it is notable that in the greatest wave of repos and foreclosures since the Great Depression, that doubts about the fairness of the foreclosure system are coming up only at the edges (e.g. when a person current on rent or HOA fees ends up losing property to collective misdeeds, and when there are indica of fraud in the underlying mortgage deals).

  3. Wikipedia has a good article on allodial title and the few pockets in the U.S. where it exists.

    I'm actually not that much of a libertarian extermist to equate private property with allodial title. But in my mind, Denver's property tax rates preserve the concept of private property, and Fairfax County's destroy it.
